Owl Labs’ & Global Workplace Analytics’ Sixth Annual State Of Remote Work Report Uncovers Latest Remote and Hybrid Work Trends

42% of Workers Worry About Proximity Bias and Their Fears Aren’t Unfounded; Flexibility Is the New Workplace Norm

-- begin --
Below is Tm2MgS4 after structural relaxation, with properties calculated at the PBE level.

```
Tm2MgS4
1.0
0.0000 5.5389 5.5389
5.5389 0.0000 5.5389
5.5389 5.5389 0.0000
Tm Mg S
4 2 8
direct
0.6250 0.1250 0.6250
0.6250 0.6250 0.1250
0.1250 0.6250 0.6250
0.6250 0.6250 0.6250
0.0000 0.0000 0.0000
0.2500 0.2500 0.2500
0.3803 0.3803 0.3803
0.8590 0.3803 0.3803
0.3803 0.8590 0.3803
0.3803 0.3803 0.8590
0.8697 0.8697 0.3910
0.8697 0.3910 0.8697
0.3910 0.8697 0.8697
0.8697 0.8697 0.8697
```

Formation enthalpy at 0 K = -2.18 eV per atom
Total DFT energy (no corrections) = -0.4238 Ry/atom
E above lowest polymorph = 0 meV per atom
Space group = Fd-3m, No. 227

---

Below is Tm2MgS4 after structural relaxation, with properties calculated at the PBE level.

```
Tm2MgS4
1.0
13.3465 0.0000 0.0000
0.0000 7.7876 0.0000
0.0000 0.0000 6.4793
Tm Mg S
8 4 16
direct
0.0000 0.0000 0.5000
0.5000 0.0000 0.0000
0.5000 0.5000 0.0000
0.0000 0.5000 0.5000
0.2332 0.7500 0.0014
0.7668 0.2500 0.9986
0.2668 0.2500 0.5014
0.7332 0.7500 0.4986
0.0931 0.2500 0.9234
0.9069 0.7500 0.0766
0.4069 0.7500 0.4234
0.5931 0.2500 0.5766
0.1688 0.0066 0.7395
0.8312 0.9934 0.2605
0.3312 0.9934 0.2395
0.6688 0.0066 0.7605
0.6688 0.4934 0.7605
0.3312 0.5066 0.2395
0.8312 0.5066 0.2605
0.1688 0.4934 0.7395
0.0721 0.7500 0.2499
0.9279 0.2500 0.7501
0.4279 0.2500 0.7499
0.5721 0.7500 0.2501
0.0916 0.2500 0.2924
0.9084 0.7500 0.7076
0.4084 0.7500 0.7924
0.5916 0.2500 0.2076
```

Formation enthalpy at 0 K = -2.16 eV per atom
Total magnetic moment = 0.0 μB per formula unit
Total DFT energy (no corrections) = -0.4218 Ry/atom
E above lowest polymorph = 27 meV per atom
Space group = Pnma, No. 62

---

Below is TmMgS3 after structural relaxation, with properties calculated at the PBE level.

```
TmMgS3
1.0
6.9944 0.0000 -2.8964
0.0000 11.5618 0.0000
-1.5867 0.0000 6.9454
Tm Mg S
4 4 12
direct
0.0275 0.0000 0.2466
0.9725 0.0000 0.7534
0.5275 0.5000 0.2466
0.4725 0.5000 0.7534
0.0000 0.3396 0.0000
0.0000 0.6604 0.0000
0.5000 0.8396 0.0000
0.5000 0.1604 0.0000
0.2260 0.1492 0.1468
0.7740 0.8508 0.8532
0.7740 0.1492 0.8532
0.2260 0.8508 0.1468
0.7260 0.6492 0.1468
0.2740 0.3508 0.8532
0.2740 0.6492 0.8532
0.7260 0.3508 0.1468
0.2936 0.0000 0.7017
0.7064 0.0000 0.2983
0.7936 0.5000 0.7017
0.2064 0.5000 0.2983
```

Formation enthalpy at 0 K = -1.56 eV per atom
Total magnetic moment = 1.0 μB per formula unit
Total DFT energy (no corrections) = -0.3639 Ry/atom
E above lowest polymorph = 90 meV per atom

---

Below is TmMgS3 after structural relaxation, with properties calculated at the PBE level.

```
TmMgS3
1.0
-1.9100 2.5682 -6.1864
2.3925 -6.5339 0.3140
-5.2766 -3.6553 -1.6257
Tm Mg S
2 2 6
direct
0.2003 0.2003 0.6864
0.7997 0.7997 0.3136
0.3370 0.6630 0.0000
0.6630 0.3370 0.0000
0.1110 0.7789 0.8039
0.8890 0.2211 0.1961
0.2211 0.8890 0.1961
0.7789 0.1110 0.8039
0.4620 0.4620 0.2599
0.5380 0.5380 0.7401
```

Formation enthalpy at 0 K = -1.52 eV per atom
Total magnetic moment = 0.0 μB per formula unit
-- stop --

BOSTON--()--Owl Labs, the first company to build AI-powered, 360-degree video conferencing solutions, in collaboration with leading remote work research and consulting firm Global Workplace Analytics, today released its sixth annual State of Remote Work report. Owl Labs surveyed more than 2,300 full-time workers across the United States to uncover the latest trends and perspectives around remote and hybrid work, from employee tracking software to the 4-day week.

The report reveals what drives employees to quit (and “quiet quit”), the amounts of money that in-office workers shell out on everything from lunch to pet care, the decline of the open plan office, and the rise of task-based hybrid work. It also explores burnout and stress, particularly about a possible recession. The data shows that flexibility, versus fully remote work, is the new norm and what employees really want. Employers are delivering on staff members’ requests to work where they want by allowing a range of in-person and remote options, resulting in more inclusive hybrid environments.

Workplace trends are continuing to evolve rapidly, even three years after the pandemic began,” said Frank Weishaupt, CEO of Owl Labs. “Priorities and preferences have evolved for both workers and employers in the past year, bringing flexible and hybrid work to the forefront, even as some companies have continued to attempt a ‘return to the office’ push each fall since 2020. This new data shows that successful businesses need to present a range of hybrid options and technologies to keep workers happy and productive, as one-size-fits-all remote or in-person policies don’t allow everyone to do their best work. Listening to employees is crucial as companies iterate on their policies, practices and product solutions to align with team members’ needs.”

********
Entry 1:
A relaxed Li2AlPCO7 crystal, computed with GGA-PBE.

## Properties
The calculation puts the volume at 10.82 Å³ per atom. As for the crystal system: monoclinic. The energy of formation from the pure elements comes out at -2.66 eV per atom.

abc: 5.019 6.192 8.370
angles: 90.00 93.75 90.00
Fractional coordinates of all 24 atoms:
1 Li 0.226 0.017 0.289
2 Li 0.226 0.483 0.289
3 Li 0.774 0.517 0.711
4 Li 0.774 0.983 0.711
5 Al 0.209 0.750 0.846
6 Al 0.791 0.250 0.154
7 P 0.277 0.250 0.926
8 P 0.723 0.750 0.074
9 C 0.267 0.750 0.561
10 C 0.733 0.250 0.439
11 O 0.031 0.750 0.621
12 O 0.143 0.250 0.089
13 O 0.190 0.051 0.827
14 O 0.190 0.449 0.827
15 O 0.303 0.750 0.413
16 O 0.416 0.750 0.036
17 O 0.464 0.750 0.674
18 O 0.536 0.250 0.326
19 O 0.584 0.250 0.964
20 O 0.697 0.250 0.587
21 O 0.810 0.551 0.173
22 O 0.810 0.949 0.173
23 O 0.857 0.750 0.911
24 O 0.969 0.250 0.379


Entry 2:
A relaxed LiSc2Al2C2O2 crystal, computed with GGA-PBE.

## Properties
The calculation puts the volume at 11.65 Å³ per atom. As for the crystal system: monoclinic. The calculation puts the energy above the most stable polymorph in this dataset at 535 meV per atom. The energy of formation from the pure elements comes out at -1.04 eV per atom.

abc: 3.367 3.367 10.217
angles: 98.53 98.53 66.93
Fractional coordinates of all 9 atoms:
1 Li 0.000 0.000 0.000
2 Sc 0.000 0.000 0.500
3 Sc 0.500 0.500 0.000
4 Al 0.237 0.237 0.227
5 Al 0.763 0.763 0.773
6 C 0.128 0.128 0.837
7 C 0.872 0.872 0.163
8 O 0.306 0.306 0.407
9 O 0.694 0.694 0.593


Entry 3:
A relaxed LiSc2Al2C2O2 crystal, computed with GGA-PBE.

## Properties
The calculation puts the volume at 12.61 Å³ per atom. As for the crystal system: trigonal. The calculation puts the energy above the most stable polymorph in this dataset at 19 meV per atom. The energy of formation from the pure elements comes out at -1.55 eV per atom.

abc: 12.544 12.544 12.544
angles: 14.89 14.89 14.89
Fractional coordinates of all 9 atoms:
1 Li 0.000 0.000 0.000
2 Sc 0.455 0.455 0.455
3 Sc 0.925 0.925 0.925
4 Al 0.180 0.180 0.180
5 Al 0.728 0.728 0.728
6 C 0.081 0.081 0.081
7 C 0.826 0.826 0.826
8 O 0.229 0.229 0.229
9 O 0.620 0.620 0.620


Entry 4:
A relaxed LiSc2Al2C2O2 crystal, computed with GGA-PBE.

## Properties
The calculation puts the volume at 12.27 Å³ per atom. As for the crystal system: monoclinic. The calculation puts the energy above the most stable polymorph in this dataset at 655 meV per atom. The energy of formation from the pure elements comes out at -0.92 eV per atom.

abc: 3.435 3.435 10.320
angles: 96.90 96.90 66.40
Fractional coordinates of all 9 atoms:
1 Li 0.000 0.000 0.000
2 Sc 0.000 0.000 0.500
3 Sc 0.500 0.500 0.000
4 Al 0.294 0.294 0.295
5 Al 0.706 0.706 0.705
6 C 0.355 0.355 0.642
7 C 0.645 0.645 0.358
8 O 0.232 0.232 0.114
9 O 0.768 0.768 0.886


Entry 5:
A relaxed LiSc2Al2C2O2 crystal, computed with GGA-PBE.

## Properties
********
Here the text continues:

More People Want Remote and Hybrid Work, And Employers Are Trying To Catch Up

Some companies may be trying to lure workers back to the office again this fall, but employees want the flexibility they’ve become accustomed to over the past few years. The percentage of workers who want to be remote full-time increased by eight percentage points since last year to 42%, and 36% of employees now want to be hybrid, up five percentage points. The vast majority (86%) say remote work would make them happier and 62% feel more productive when working remotely. The call to come back to the office is loudest among smaller companies – 41% of small businesses (10 - 50 employees) are requiring people to return to the office, compared to 27% of enterprises (10,000+ employees).

The flexibility that employees want is slowly becoming the norm – workers reported that prior to the pandemic, only 8% of their companies had flexible policies whereas today, almost two-thirds (62%) say their company has implemented at least some degree of flexible work. Mid-sized companies (501 to 5,000 employees) are leading the way with 70% offering flexible work policies – more than any other size company. Some employers remain unprepared though, with only half (50%) training managers on how to lead remote and hybrid teams and 54% teaching workers how to hold effective and inclusive hybrid meetings.

Task-Based Hybrid Work Allows Employees to Do Different Tasks in the Best Environment

Task-based hybrid work, where your location depends on the type of task you’re doing, gives people the freedom to choose their locations based on their own individual schedules and tasks, allowing teams to get the best of both worlds and optimize productivity. Nearly half of workers (49%) say they can meet deadlines better when remote, versus 31% who like to reach deadlines in-office. When it comes to meetings, more than half of workers (51%) say team meetings are more productive at the office, while a quarter (25%) prefer joining team meetings remotely. Additionally, 39% of workers say they are more productive when brainstorming and innovating at the office, while 37% prefer remote brainstorms.

Office Design Is Changing, With Coworking Spaces Becoming a Popular “Third Place” Between Office and Home

Since the pandemic began, many companies have transformed their physical office spaces, from square footage to location to design, and 37% have hired someone to manage the workplace experience for on-site or remote employees. More than 1/3 of employers (37%) have closed offices or decreased office space and 13% have opened smaller satellite offices, while 14% of employees say their company provides access to a “third place,” like a coworking space, as a middle ground between home and office. Office design is changing, too – 15% of companies have shifted to “hot desking,” where employees don’t have a permanent desk and need to reserve workspaces. The age of the open office is in decline, as 68% of employees say more privacy would make them more inclined to go to work in person. Despite the increase in hybrid meetings with both in-office and remote participants, only about one in five companies (19%) have expanded their collaboration and meeting spaces and 1/3 (36%) have upgraded their video meeting technology.

Going to the Office Costs Employees Twice As Much as Working Remotely

More than 1/4 of employees (28%) feel that they should be paid more to work remotely, with another 57% saying they should be paid the same regardless of where they do their jobs. Only 14% said they should be paid more for office work. In reality, while many companies provide monthly stipends to cover remote work expenses, it actually costs employees more money to commute to the office.

Employees spend twice as much money at the office ($862 / month) versus working remotely ($431 / month). The top costs for in-office workers per day include commuting ($14.60), lunch ($13.07), dinner ($10.98), and breakfast or coffee ($6.29). Office workers are also spending on their furry friends at home, with an average of $16 per day going towards pet care, such as dog walking. Three in four workers (75%) say they’d be more inclined to go to the office if their companies paid for their commuting costs, like parking, and 69% would be lured to the office by free food and beverages.

Workers Are Worried About “Proximity Bias” – and Their Fears Aren’t Unfounded

Employees now have more choices than ever in how they work, and this means they are newly concerned that in-person colleagues may advance quicker and have advantages over remote team members due to “proximity bias” – meaning physical proximity to the in-office boss. More than half of workers (51%) think the office is the best place for advancing their careers, compared to 31% who think remote locations are best. Nearly half of employees (49%) believe they won’t be able to build relationships with leadership team members while working remotely. These fears are valid, as more than half of workers (51%) admit to preferring to manage others in person versus remotely (25%), and nearly half (49%) are more likely to ask the opinion of their colleagues in person over their remote team members. This data shows why it’s crucial for employers to invest in the right technology, management training and policies to ensure that remote workers feel included and aren’t disadvantaged compared to employees in the office.

Employee Stress Has Increased, Especially Due to Recession Fears and Return to Office Demands

Amid all these changes, almost half (45%) of employees say their work-related stress has increased in the past year. Among workers experiencing more stress, the leading cause is being back in the office, with 53% saying it’s their biggest concern. About half of these workers (49%) with higher stress levels are concerned they will not be given the flexibility they want and 45% are worried they will be forced to go back to the office full-time. Many employees are also anxious about job stability in this unpredictable economy, with 58% feeling concerned about an impending recession, which is 9 percentage points higher than any other source of work-related stress. In light of anxiety and burnout running rampant, it’s no surprise the 4-day work week model is appealing to employees, with 80% wanting to try it out.

Companies Are Eroding Trust With Employee Tracking Software and Flip-Flopping on Policies

Another source of stress, which affects 45% of workers, is being monitored by employers. While 75% of employees say that working from home would make them feel more trusted and 62% feel more productive when remote, 60% of managers think remote workers are less productive. Due to this mistrust, more than 1/3 of companies (37%) have added or increased their usage of employee activity tracking software since the pandemic began.

In light of some companies pulling a “bait and switch” by offering hybrid and remote options and then requiring people to come to the office instead, 9% of workers believe their employer is likely to get rid of their flexible work policy and 11% are completely unsure of their company’s plans. The data shows there is room for companies to increase transparency around workplace policies, as only half (53%) have surveyed their employees about remote work preferences, and only 39% of those have actually shared the results with their teams.

The Great Resignation Isn’t Over Yet and Workers Are Setting Boundaries By “Quiet Quitting” – and Actually Quitting – When They Don’t Have the Flexibility They Want

Despite recession fears, the Great Resignation has continued and about 1/3 (29%) of employees changed jobs within the past year, with remote workers switching roles almost twice as often as those who work in-office. Flexibility is key to retention – nearly half of workers (46%) said if they no longer had remote or hybrid options, they would stay in their role but be less willing to go the extra mile, which some call “quiet quitting.” Going beyond quiet quitting, 39% said they would actually quit if the ability to work from home was taken away and 66% would immediately start looking for a job that offered flexibility. More than half of workers (52%) would take a pay cut of 5% or more and 23% would take a pay cut of 10% or more to have flexibility in their location.

To review the full report and detailed findings, please visit http://owllabs.com/state-of-remote-work/2022. To learn more about Owl Labs and its ecosystem of video conferencing solutions for hybrid organizations, visit www.owllabs.com.

About Owl Labs:

Owl Labs is the first company to build AI-powered, 360-degree video conferencing solutions for hybrid organizations. Its suite of products makes meetings more inclusive and collaborative by leveling the playing field between remote and in-room participants. The company’s flagship product, the Meeting Owl® 3, is the first WiFi-enabled, 360-degree camera, microphone and speaker that automatically zooms in on whoever’s speaking. Owl Labs has raised $22 million in funding and is based in Boston, with remote and hybrid employees all over the world. To learn more, visit OwlLabs.com.

About Global Workplace Analytics:

Kate Lister is president of Global Workplace Analytics, a consulting firm that has been helping organizations optimize remote and hybrid work for nearly two decades. She is a trusted source of insights about the future of work for news outlets around the globe. Kate was one of only three witnesses invited to testify before a U.S. Senate committee regarding the post-pandemic potential for remote work in government.


Michal Kaplan-Nadel
Moxie Communications Group


Michal Kaplan-Nadel
Moxie Communications Group